Message to a Democrat friend on social media

Scooby Dubin
4 min readJul 6, 2020

Dan, I can appreciate that you’re bringing everybody up to speed on partisan politics. I find the daily machinations of Washington so dull that it’s hard for me to stay informed — I have a short attention span. So, I can’t help but admire your tenacity.

Here’s what I want to ask you, though. Not just you, but also the other members of our graduating class who affirm these posts with such emotional intensity. Day after day, week after week, I hear about how corrupt and damaging to this nation the Republican Party is. And I agree with some of that. I have no use for the vast majority of GOP politicians. Political parties breed a cult-like devotion and I despise them. They breed confirmation bias, too (bias that an honest man will admit discerning in himself). Frankly, I have no love for government itself, either, as I’ve told you before.

Having said that, I think you fail to honestly assess your party of choice. As I check out these polemical posts from you, I can’t help but ask myself: “What does a guy like Dan actually LIKE about the Democratic Party?” Seriously, I can’t imagine — other than the fact that it’s not the GOP.

You don’t strike me as someone who would block traffic with BLM or Antifa, cheer the burning of our cities, advocate the razing of our monuments. Not at all. But that stuff is under the broad umbrella of Democrat behavior. Not that most in your party behave like that — they don’t, thank God. But most all party-affiliated individuals who perpetrate those acts are squarely in your camp, not the other. Does that concern you? Does it bother you when other members of your party defend these culprits (or least refrain from any censure)?

When I look at the Democratic Party, I see a magnet for violent revolutionaries, Marxist university professors, race baiters, abortion-on-demand zealots, open socialists (one of them a serious presidential candidate), corrupt union officials and assorted cultural wingnuts.

What’s a nice guy like you doing in company like that?

This recent unrest has been telling, too. Cities in which the government has called for police stand-downs, allowing widespread devastation, are predominately Democrat-run, blue. Good grief, look at Seattle and what the Dem government there has allowed and even blessed.

Speaking of that, most cesspool urban areas in America that have a 40-year+ track record of rank poverty and street violence are a decidedly BLUE cities. Go ahead and tick through the list: Most all are characterized by decade after decade of Democrat politicians in full control. Often, from the mayor to the police chief to the city council.

Another thing that frustrates me about your party is how you guys encourage government dependency. In the name of caring and compassion, the Dems give out free money with no strings attached (except for voting Democrat if you want more) and there’s NO exit strategy. No “weaning off” plan. Not since Bill Clinton do I remember anyone in your party wanting to curb this pernicious influence. Never have I heard a strategy about how to get people off welfare and into productive society. Dems just keep shoveling the funding. And if anyone wants to merely slow the growth in these programs, the money-shovelers have conniptions and accuse their detractors of being heartless.

Actually, I find the Democrat Party pretty damned heartless. Dem entitlement programs have discouraged marriage and subsidized fatherlessness in the inner cities to the point where it’s rare to find a child who grows up with a male role model in the home. Instead, young males in the inner city find their role models on the streets and among gang members, a fast track to prison. This hits blacks harder than anyone.

That’s unbelievably sad, because in the 1940s and 1950s, the black population was closing the income gap with the whites. Then LBJ’s Great Society happened in the 60s and black America stalled. Since then, we’ve spent trillions and trillions of dollars on anti-poverty programs and there’s been almost no movement in the poverty rate. And the Democrat response is to complain that we’re not spending enough and, of course, that any disparity is on account of white racism.

**The article is interrupted by records of crystals**
Here is a geometry-optimized TmIn5Rh structure from Materials Project. Energies are from PBE-GGA.

a b c (Å): 4.6753 4.6753 7.4603
angles (deg): 90.00 90.00 90.00
Last column: nearest neighbours and their distance in Å.
Fractional coordinates of all 7 atoms:
In 0.0000 0.5000 0.2991  2 Rh 2.78, 1 In 3.00
Tm 0.0000 0.0000 0.0000  12 In 3.23-3.31
In 0.5000 0.0000 0.2991  2 Rh 2.78, 1 In 3.00
In 0.5000 0.5000 0.0000  8 In 3.23, 4 Tm 3.31
In 0.0000 0.5000 0.7009  2 Rh 2.78, 1 In 3.00
Rh 0.0000 0.0000 0.5000  8 In 2.78
In 0.5000 0.0000 0.7009  2 Rh 2.78, 1 In 3.00

Computed properties:
- space group = P4/mmm (123)
- formation energy (eV/atom) = -0.370

=====

Here is a geometry-optimized SiO2 structure from Materials Project. Energies are from PBE-GGA.

a b c (Å): 5.2299 5.2299 8.3344
angles (deg): 90.00 90.00 121.78
Last column: nearest neighbours and their distance in Å.
Fractional coordinates of all 12 atoms:
Si 0.4134 0.7477 0.5625  4 O 1.62
O 0.1104 0.6246 0.4561  2 Si 1.62
Si 0.7477 0.4134 0.4375  4 O 1.62
Si 0.5866 0.2523 0.0625  4 O 1.62
O 0.3754 0.8896 0.0439  2 Si 1.62
O 0.6698 0.3302 0.2500  2 Si 1.62
O 0.3302 0.6698 0.7500  2 Si 1.62
O 0.8896 0.3754 0.9561  2 Si 1.62
O 0.5964 0.5964 0.5000  2 Si 1.62
Si 0.2523 0.5866 0.9375  4 O 1.62
O 0.6246 0.1104 0.5439  2 Si 1.62
O 0.4036 0.4036 0.0000  2 Si 1.62

Computed properties:
- piezoelectric modulus e_max (C/m2) = 1.4
- space group = C222_1 (20)
- formation energy (eV/atom) = -3.260

=====

Here is a geometry-optimized IrC2 structure from Materials Project. Energies are from PBE-GGA.

a b c (Å): 5.1661 5.1661 9.4093
angles (deg): 90.00 90.00 104.97
Last column: nearest neighbours and their distance in Å.
Fractional coordinates of all 24 atoms:
C 0.6718 0.8370 0.5157  1 C 1.35
Ir 0.8037 0.8037 0.7939  6 C 2.13-2.24
C 0.1718 0.3370 0.9843  1 C 1.35
C 0.8282 0.6630 0.0157  1 C 1.35
Ir 0.2443 0.7557 0.0000  6 C 2.08-2.17
C 0.8370 0.6718 0.5157  1 C 1.35
C 0.2265 0.8791 0.7165  1 C 1.40
Ir 0.7443 0.2557 0.5000  6 C 2.08-2.17
Ir 0.3037 0.3037 0.7061  6 C 2.13-2.24
C 0.7265 0.3791 0.7835  1 C 1.40
Ir 0.6963 0.6963 0.2939  6 C 2.13-2.24
Ir 0.7557 0.2443 0.0000  6 C 2.08-2.17
C 0.3370 0.1718 0.9843  1 C 1.35
C 0.3282 0.1630 0.4843  1 C 1.35
C 0.6630 0.8282 0.0157  1 C 1.35
C 0.7735 0.1209 0.2835  1 C 1.40
C 0.3791 0.7265 0.7835  1 C 1.40
C 0.1630 0.3282 0.4843  1 C 1.35
C 0.8791 0.2265 0.7165  1 C 1.40
Ir 0.1963 0.1963 0.2061  6 C 2.13-2.24
C 0.6209 0.2735 0.2165  1 C 1.40
Ir 0.2557 0.7443 0.5000  6 C 2.08-2.17
C 0.2735 0.6209 0.2165  1 C 1.40
C 0.1209 0.7735 0.2835  1 C 1.40

Computed properties:
- E above lowest polymorph (eV per atom) = 0.000
- space group = Cmce (64)
- formation energy (eV/atom) = 1.175

=====

Here is a geometry-optimized TbLuO3 structure from Materials Project. Energies are from PBE-GGA.

a b c (Å): 5.6160 5.8840 8.2664
angles (deg): 90.00 90.00 90.00
Last column: nearest neighbours and their distance in Å.
Fractional coordinates of all 20 atoms:

Your party does things I can’t even imagine the other side doing. The other day, when Trump was getting ready to speak at Mount Rushmore, some activists blew the tires on a pair of vans and used them to block the venue. That kind of shit is a hallmark of Democrat operatives. When does the other side pull such underhanded stunts? Imagine if fanatical GOP outliers had blocked the road to an Obama speech. The media would have gone apoplectic and accused them of domestic terrorism. But it’s Democrat activity, so no one raises an eyebrow. We’ve grown to expect dishonorable behavior.

This is standard operating procedure for the left. People wearing MAGA hats get beaten up and harassed on a regular basis (lots of video footage documents this). Anyone sporting anything pro-Trump can expect vandalism, intimidation and all manner of grief — from YOUR side of the aisle. I don’t remember this happening to Democrats in previous elections, certainly not on any wide scale.

No, during the Obama years, the Tea Party protests (which Dems characterized as an existential threat) weren’t characterized by this stuff. They didn’t riot, throw Molotov cocktails or shriek obscenities. Most were just decent, working-class people who carried signs for a few hours and then cleaned up after themselves. And you guys went berserk over them as if they were the Third Reich reincarnated. Now, your party won’t rebuke even the most savage behavior from the left side.

The hard, radical progressives have taken over your party. You don’t strike me as a wild-eyed leftist. Why then, do you perpetually champion the Democratic Party and demonize its opposition? I just don’t get it.

